Current Assets are things that a company owns. It includes cash and items that the company can turn into cash easily. In other words, turn them into cash within twelve months. The term also refers to money that debtors owe the company.
Examples include cash & cash equivalents, short-term investments, accounts receivable, and inventories. Prepaid expenses (bills paid in advance) and raw materials are also examples.
In the United Kingdom, people also use the term current accounts.
The operating cycle of a company, which is the time from inventory purchase to cash collection from sales, directly influences the composition and management of its current assets.
Assets on a balance sheet
On a business’ balance sheet, we usually classify assets into two categories – either current or non-current. Non-current are long-term assets.
The balance sheet shows the financial status of a company at a particular moment in time. It is a snapshot of the company on a specific date.
We usually present each current asset in the balance sheet in order of liquidity. In other words, the most liquid items appear first, and then the less liquid ones.
The Cambridge Dictionary has the following definition of a current asset:
“An asset such as cash, raw materials, parts, or products that are still being made, which a company will use up or sell during the same year.”
[1]
Below is a 2-piece molecular cluster, CH2O3 overall at a distorted geometry, with properties calculated with ωB97M-V/def2-TZVPD.

Geometry as XYZ:
```
6
Properties=species:S:1:pos:R:3:forces:R:3
C -0.3130 0.7393 -0.0910 0.8 3.8 -2.0
O 0.9565 1.7713 -1.6319 -0.9 -0.5 1.0
O -0.2200 -1.4028 0.7013 -1.3 -2.8 1.7
O 0.4156 -0.1519 0.0129 2.1 -1.0 -0.5
H -1.2576 1.1975 0.1499 -0.5 -0.9 0.3
H 0.4185 -2.1534 0.8588 -0.2 1.4 -0.5
```
Positions in Å, forces in eV/Å.

Results
ΔE to the lowest compared entry with this formula, charge and spin: 264.9 kcal/mol
2S+1: 1
DFT total energy: -264.634101 a.u.
gap between HOMO and LUMO (spin up / spin down): 7.686 / 7.769 eV


[2]
Below is a 3-piece molecular cluster, CH2O3 overall at a distorted geometry, with properties calculated with ωB97M-V/def2-TZVPD.

Geometry as XYZ:
```
6
Properties=species:S:1:pos:R:3:forces:R:3
C 1.1428 -0.5327 -0.7947 -2.3 -0.4 2.2
O 0.0709 -0.3086 -0.3935 0.3 0.5 -0.8
O -2.4158 0.7757 -1.6983 -1.5 -3.1 1.7
O 2.2019 -0.9156 -0.9555 2.2 -0.2 -1.3
H -1.4370 1.2157 -0.2201 -1.9 -1.0 -2.2
H -3.0665 -0.1938 -1.6503 3.1 4.3 0.5
```
Positions in Å, forces in eV/Å.

Results
ΔE to the lowest compared entry with this formula, charge and spin: 124.8 kcal/mol
2S+1: 1
DFT total energy: -264.857283 a.u.
gap between HOMO and LUMO (spin up / spin down): 10.351 / 9.387 eV


[3]
Below is one molecule with the formula CH2O3 at a distorted geometry, with properties calculated with ωB97M-V/def2-TZVPD.

Geometry as XYZ:
```
6
Properties=species:S:1:pos:R:3:forces:R:3
O 0.8733 -1.0320 -0.0318 -3.5 2.2 -0.3
C 0.0414 -0.0576 -0.0687 2.1 -7.3 0.7
O -1.2721 -0.0302 -0.0418 -1.9 -4.6 0.4
O 0.4265 1.0980 -0.0256 6.2 6.6 0.2
H -1.5630 -1.0265 0.1186 0.7 3.0 -0.7
H 1.4938 1.0482 0.0493 -3.6 0.2 -0.4
```
Positions in Å, forces in eV/Å.

Results
ΔE to the lowest compared entry with this formula, charge and spin: 23.6 kcal/mol
2S+1: 1
SMILES string: O=C(O)O
DFT total energy: -265.018554 a.u.
gap between HOMO and LUMO: 11.069 eV


[4]
Below is a 4-piece molecular cluster, CH2O3S overall at a distorted geometry, with properties calculated with ωB97M-V/def2-TZVPD.

Geometry as XYZ:
```
7
Properties=species:S:1:pos:R:3:forces:R:3
C -0.4119 -1.0391 -1.2668 5.2 -1.8 -4.6
O 1.5964 -0.3399 1.8908 -0.1 0.7 -0.6
O 1.4375 1.5442 0.2072 0.3 -1.1 0.8
O 0.4607 -1.3346 -2.0306 -5.2 1.8 4.5
S 2.0863 0.3633 0.7344 -0.1 0.4 -0.1
H -2.2042 0.2554 0.0099 -3.3 1.3 2.0
H -2.9648 0.5507 0.4551 3.2 -1.2 -1.9
```
Positions in Å, forces in eV/Å.

Results
ΔE to the lowest compared entry with this formula, charge and spin: 27.0 kcal/mol
2S+1: 1
DFT total energy: -663.129822 a.u.
gap between HOMO and LUMO: 10.714 eV


[5]
Below is a 2-piece molecular cluster, CH2O3S overall at a distorted geometry, with properties calculated with ωB97M-V/def2-TZVPD.

Geometry as XYZ:
```
7
Properties=species:S:1:pos:R:3:forces:R:3
C -0.5835 0.5367 0.0505 1.8 4.6 4.3
O -0.1206 -1.8114 -0.8228 0.8 -0.4 0.6
O 1.6679 -0.9649 0.7074 0.1 0.8 0.0
End of the data records:
Getting current ratio from current assets
If you divide a firm’s current assets by its total current liabilities, you get its current ratio. We use this measure as an indicator of the business’ liquidity and ability to meet short-term obligations.
Creditors want to know what their debtors’ current ratio is. Lenders see companies that have significantly more current assets than liabilities as a good risk regarding trade credit.
When determining how liquid a company is, look carefully at what their accountants have classed as a current asset. Often, they include items that are not so liquid.
For example, within the accounts receivable entries there may be some extremely overdue invoices. If an invoice is long overdue, it might not be an asset. It could be a bad debt. Accounts receivable refers to money a company is owed by its customers who bought goods or services on credit.
Effective management of current assets involves not only recognizing their liquidity but also actively monitoring for obsolescence and market value fluctuations to maintain asset quality.
Compound phrases containing “asset”
The term “current assets” is a compound phrase, i.e., a term consisting of two or more words. Let’s look at some more compound phrases that contain the word “asset”?
Digital Asset
Any item of text or media that has been formatted into a binary source which includes the right to use it.
For example: “The photographer’s portfolio is now primarily composed of digital assets which are sold online.”
Fixed Asset
Long-term tangible property that a firm owns and uses in its operations to generate income, not expected to be consumed or converted into cash within a year.
For example: “The manufacturing plant is considered a fixed asset on the company’s balance sheet.”
Intangible Asset
An asset that is not physical in nature, such as intellectual property, brand names, and trademarks.
For example: “Goodwill, arising from the purchase of one company by another, is recorded as an intangible asset on the balance sheet.”
Capital Asset
Assets that are used in a company’s business operations to generate revenue and are not easily converted into cash within a short period of time.
For example: “The new printing press is a capital asset and will be used for years to produce magazines.”
Financial Asset
Any asset that is cash, an equity instrument of another entity, a contractual right to receive cash or another financial asset, or a contractual right to exchange financial assets on potentially favorable terms.
For example: “Stocks and bonds are both considered financial assets and are part of many investment portfolios.”
Video – What are Current Assets?
This interesting video presentation, from our sister channel in YouTube – Marketing Business Network, explains what ‘Current Assets’ are using simple and easy-to-understand language and examples.